What Happens and What You Can Do About It
For those who love to run, skip and jump, you might want to know what the pelvic floor muscles are doing during high impact activity and what can happen when they malfunction.
The pelvic floor region includes all the muscles on the bottom of our pelvis. You can picture them as one big trampoline responsible for protecting and supporting the inner organs in the pelvis: the bladder, uterus and rectum. They also assist with functions related to these organs.
With pelvic floor dysfunction, some of us leak urine when we run or jump. Leakage can happen because of:
- A weak or/and tight pelvic floor. Yes, it is not good to do Kegels all day long.
- Holding our breath. This especially happens while using heavier dumbbells or skipping.
- Clenching our abdominal muscles. Ladies, most of us are all guilty of this.
- Poor posture while running/jumping/lifting weights.
Usually we think that leaking only happens to ladies who have kids, but many females suffer from leaking, pelvic pain or heaviness even if they have not had children. This knowledge shifts our focus from just searching for a pelvic floor dysfunction to looking at the pelvic floor muscles as part of a bigger system. That larger system is our core.
The core consists of our breathing muscles, the diaphragm, our abdominal muscles and the spinal muscles. The bottom of the cavity is completed by pelvic floor musculature. I like to think of the core as a pressure cooker. If all the components are working in balance there is no build up of pressure. But, as soon as one component does not work in synchrony with the other components there will be a build up of pressure that ALWAYS negatively impacts PELVIC FLOOR. When this altered muscle function occurs, we can notice symptoms like small urinary leakage, increase of pelvic pressure or pain during sexual intercourse.

The piece is interrupted by calculated molecules:
=====
Entry 1:
140
Properties=species:S:1:pos:R:3:forces:R:3 method="wB97M-V/def2-TZVPD" multiplicity=1 homo_ev=-7.21 e_lumo_ha=0.0176 homo_lumo_gap_ha=0.2825 total_charge=0
C -1.600 2.766 -3.274 0.4579 -0.0044 0.4751
C -2.194 2.828 -2.231 -0.4593 0.1479 0.0373
C -2.864 2.875 -0.912 0.3225 -0.5933 -0.4242
C -1.804 2.455 0.117 -0.6347 0.3459 -0.0483
C -0.942 3.457 0.550 0.3430 -0.0950 0.3943
C 0.085 3.197 1.451 -0.2206 -0.3132 -0.0828
C 0.243 1.899 1.916 0.1758 0.0618 -0.0424
C -0.614 0.902 1.484 -0.3805 -0.8361 -0.2811
C -1.659 1.139 0.584 0.2839 0.9971 0.2383
N -2.505 0.086 0.172 0.8644 0.1229 -0.1189
C -1.816 -1.071 -0.251 -0.0621 -0.5699 -0.5025
C -2.165 -1.677 -1.459 0.0861 -0.0207 0.1832
C -1.495 -2.804 -1.914 0.2573 -0.1856 -0.3213
C -1.861 -3.516 -3.205 -0.5362 0.2057 0.0669
C -2.558 -2.648 -4.276 -0.1743 -0.5131 0.7079
C -1.647 -1.622 -4.928 -0.0606 -0.9205 0.0347
F -0.424 -2.195 -5.083 0.0812 -0.0274 -0.2229
F -1.448 -0.529 -4.162 -0.1673 0.2556 0.0224
C -2.094 -1.144 -6.344 0.7612 0.6903 0.1346
F -0.970 -0.842 -7.032 -0.0337 0.1656 -0.1077
F -2.723 -2.103 -7.037 -0.2466 -0.2607 0.1955
C -2.957 0.155 -6.380 -0.4052 -0.4557 -0.5964
F -3.385 0.279 -7.658 -0.0551 -0.2394 -0.1223
F -2.219 1.233 -6.132 0.1182 0.0631 0.5068
C -4.243 0.149 -5.499 -0.2582 1.4044 -0.3750
F -4.004 0.607 -4.281 0.1850 -0.5032 0.3228
F -4.821 -1.044 -5.458 0.1177 -0.3607 0.1288
F -5.119 0.999 -6.055 -0.0393 -0.0707 -0.0602
C -0.455 -3.325 -1.144 0.0332 0.1433 0.4610
O 0.247 -4.448 -1.593 -0.2310 -0.0083 -0.0064
C -0.072 -2.750 0.067 -0.1037 -0.0104 0.0605
C 1.091 -3.264 0.898 0.0448 1.5025 -0.3603
C 2.259 -2.234 0.822 0.7732 -0.6776 -0.2289
C 3.271 -2.509 -0.318 -1.3606 0.3872 -0.0203
C 2.806 -1.978 -1.685 0.2435 0.5866 0.2305
C 2.666 -0.442 -1.737 0.5396 -0.3840 -0.6142
C 4.011 0.315 -1.562 -0.7210 0.4726 -0.3165
C 4.396 1.155 -2.807 0.3372 0.1080 0.3532
C -0.781 -1.624 0.502 -0.1423 0.5895 0.2227
S -0.417 -0.783 2.039 -0.0783 -0.0361 0.0716
H -0.826 2.695 -4.004 -0.3241 -0.0483 -0.2500
H -3.761 2.236 -0.926 0.5823 0.2972 0.0590
H -3.229 3.882 -0.702 0.1839 0.0128 0.0288
H -1.057 4.466 0.170 -0.1177 -0.0772 -0.0730
H 0.773 3.969 1.772 -0.1019 0.0450 -0.0260
H 1.047 1.646 2.598 -0.0456 -0.0028 -0.0371
H -3.136 0.406 -0.549 -0.2756 -0.1137 0.1380
H -2.971 -1.235 -2.035 0.0808 0.0016 -0.0093
H -2.600 -4.287 -2.948 0.1085 -0.0096 -0.0575
H -1.013 -4.048 -3.632 0.0769 0.1709 0.1149
H -2.961 -3.340 -5.016 0.1758 0.2539 -0.2053
H -3.428 -2.190 -3.802 0.1017 0.2997 -0.2762
H -0.146 -5.209 -1.151 0.0794 -0.1269 -0.0824
H 0.765 -3.285 1.940 0.0317 -0.4476 -0.0495
H 1.464 -4.225 0.549 -0.2401 -0.0934 0.1871
H 1.895 -1.216 0.705 -0.1194 -0.0539 0.2737
H 2.820 -2.299 1.759 -0.1261 0.1483 0.0032
H 4.191 -1.986 -0.050 0.1912 -0.4275 -0.0407
H 3.388 -3.594 -0.381 0.4655 0.0921 0.0614
H 1.847 -2.396 -2.000 0.1759 -0.2810 0.0479
H 3.576 -2.244 -2.422 -0.2227 -0.1386 -0.0889
H 1.892 -0.077 -1.059 0.1110 -0.0105 0.0449
H 2.320 -0.204 -2.748 -0.2462 -0.0134 0.1662
=====
Photo by Isabella Mendes from Pexels https://www.pexels.com/photo/active-adult-athlete-barbell-3484
Here are some habits that we commonly do during sports that can contribute to pelvic floor dysfunction.
1. Breath Holding
This is the most common one. With jumping activities or exercises with heavier weights we tend to hold our breath. Breath holding puts extreme downward pressure on the pelvic floor muscles that can lead to weakness.
- ALWAYS exhale with load or “blow with the load” as a well known pelvic floor practitioner, Julie Wiebe describes.
- While jumping make sure you are not holding your breath.
Unrelated to this entry: data records:
........
No. 1
Formula: C11H15N
Source: the Open Molecules 2025 dataset
Level of theory: ωB97M-V with the def2-TZVPD basis set

## Properties
ΔE to the lowest compared entry with this formula, charge and spin ... 31.25 kcal per mole
E_HOMO ... -8.09 eV
Gap between HOMO and LUMO ... 9.04 eV
SMILES ... Cc1c[nH]c2ccccc12.CC
LUMO energy ... 0.035 hartree
E ... -13139.4360 eV

The geometry in XYZ format:
```
27
C11H15N ωB97M-V with the def2-TZVPD basis set
C -0.039 -3.051 -2.944
C 0.619 -2.485 -1.718
C 1.630 -3.121 -1.089
N 2.279 -2.251 -0.151
C 1.705 -0.991 -0.365
C 2.156 0.261 0.091
C 1.262 1.305 -0.087
C 0.090 1.134 -0.792
C -0.380 -0.076 -1.267
C 0.511 -1.149 -1.158
H -0.975 -2.479 -3.145
H -0.320 -4.084 -2.685
H 0.672 -3.146 -3.753
H 2.139 -4.047 -1.324
H 3.275 -2.142 -0.317
H 3.169 0.373 0.450
H 1.496 2.301 0.309
H -0.478 2.049 -0.987
H -1.112 -0.256 -2.057
C -2.270 3.377 2.467
C -2.128 2.071 3.211
H -1.989 3.387 1.404
H -3.328 3.686 2.535
H -1.662 4.180 2.878
H -2.565 2.108 4.263
H -1.090 1.837 3.418
H -2.667 1.208 2.813
```

Atom charges from the natural (NBO) analysis, given in e for atoms 1 to 4: number 1, C, carries -0.64; number 2, C, carries -0.06; number 3, C, carries -0.04; number 4, N, carries -0.56

No. 2
Formula: C11H15N
Source: the Open Molecules 2025 dataset
Level of theory: ωB97M-V with the def2-TZVPD basis set

## Properties
ΔE to the lowest compared entry with this formula, charge and spin ... 60.37 kcal per mole
E_HOMO (spin up / spin down) ... -13.30 / -13.26 eV
Gap between HOMO and LUMO (spin up / spin down) ... 9.36 / 5.98 eV
LUMO energy (spin up / spin down) ... -0.145 / -0.267 hartree
Multiplicity ... 2
E ... -13130.5887 eV
Net charge ... +1

The geometry in XYZ format:
```
27
C11H15N ωB97M-V with the def2-TZVPD basis set
C -2.416 1.066 0.973
C -2.293 1.881 2.214
H -2.988 1.750 0.298
H -1.654 0.965 0.283
H -2.920 0.186 1.080
H -3.339 2.307 2.429
H -1.444 2.547 2.276
H -1.894 1.188 2.972
C 0.585 -0.495 -3.447
C 0.614 -0.859 -0.863
C 0.749 0.014 -2.066
C 1.342 -0.098 0.192
C 1.374 1.194 -1.743
C 0.113 -2.045 -0.286
C 0.481 -2.504 0.936
C 1.349 -1.760 1.854
C 1.679 -0.401 1.469
N 1.658 1.175 -0.367
H -0.534 -2.596 -0.888
H 0.066 -3.433 1.299
H 1.660 -2.094 2.733
H 1.479 -1.146 -3.552
H 0.488 0.308 -4.246
H 1.617 2.075 -2.276
H 2.363 1.701 -0.041
H 2.146 0.157 2.224
H -0.279 -1.084 -3.461
```

Atom charges from the natural (NBO) analysis, given in e for atoms 1 to 4: number 1, C, carries -0.62; number 2, C, carries -0.62; number 3, H, carries 0.20; number 4, H, carries 0.19


Entry 1:
The following is a quantum chemistry calculation of a 2-piece molecular cluster, C27H38FNO9S overall at a distorted geometry, from the OMol25 dataset.

- 2S+1 = 1
- LUMO (eV) = -1.3
- total energy (eV) = -62084.8593
- HOMO-LUMO gap (eV) = 8.4137

Atoms and positions in Å:
C 3.4930 -4.5857 3.5281
C 4.0543 -5.1055 2.2364
O 4.9586 -5.8938 2.1556
O 3.4434 -4.5643 1.1582
C 3.3948 -5.3747 -0.0284
C 1.9983 -5.2707 -0.6559
C 2.0301 -4.6067 -2.0295
........
- Before starting an exercise stop for a few seconds to inhale and exhale then keep this rhythm during skipping or running.
- As you are getting fatigued during exercise it is ok to pause and regroup to catch your breath.
- With weights or body weight exercises exhale when pushing the weight away from your body or exhale as you lift yourself in push up or a box squat.
2. Stomach Gripping
Many, many females are guilty of this habit. Stomach gripping is often done subconsciously as we don’t realize that we are clenching our belly button throughout the day. Again, this creates a negative pressure in the abdomen that will strain your pelvic floor and potentially cause leaking with jumping.
- Try to keep your belly soft throughout the run or exercise class.
**Misplaced molecular data:**
# 1
The following is a quantum chemistry calculation of C5H12N2 in the gas phase, from the Open Molecules 2025 dataset.

Values from the calculation:
* HOMO-LUMO gap: 0.3343 hartree
* E_HOMO: -8.10 eV
* SMILES string: C=C(CCN)NC
* E: -8358.3625 eV
* relative energy (zero: lowest compared OMol25 entry of this formula, charge and spin): 171.14 kJ/mol

Atoms and positions in Å:
C  -1.419  -1.209  0.105
C  -0.233  -0.627  0.217
C  0.030  0.606  1.055
C  0.378  1.778  0.127
N  -0.805  2.665  -0.083
N  0.973  -1.041  -0.391
C  1.020  -2.361  -0.969
H  -2.294  -0.744  0.537
H  -1.588  -1.916  -0.732
H  -0.915  0.825  1.637
H  0.772  0.385  1.818
H  0.673  1.543  -0.889
H  1.186  2.306  0.631
H  -1.627  2.285  0.378
H  -0.784  3.613  0.279
H  1.829  -0.627  -0.034
H  1.925  -2.547  -1.555
H  0.584  -3.190  -0.396
H  0.235  -2.376  -1.785



# 2
The following is a quantum chemistry calculation of 2 unconnected molecules or ions with the total composition C5H12N2, from the Open Molecules 2025 dataset.

Values from the calculation:
* HOMO-LUMO gap: 0.3039 hartree
* E_HOMO: -8.74 eV
* E: -8354.9571 eV
* relative energy (zero: lowest compared OMol25 entry of this formula, charge and spin): 499.71 kJ/mol

Atoms and positions in Å:
N  -0.557  0.954  -0.750
C  -0.991  -0.022  -1.800
C  -1.426  -1.242  -1.022
C  -0.207  -1.284  -0.041
C  0.071  0.193  0.345
C  1.442  0.721  0.779
N  1.500  0.798  2.241
H  -1.396  1.412  -0.290
H  -1.667  0.409  -2.493
H  -0.118  -0.216  -2.449
H  -1.630  -2.204  -1.551
H  -2.243  -1.133  -0.355
H  -0.354  -1.938  0.834
H  0.576  -1.725  -0.679
H  -0.494  0.297  1.272
H  2.271  0.134  0.299
H  1.498  1.687  0.258
H  1.521  -0.932  2.396
H  2.076  1.485  2.715



# 3
The following is a quantum chemistry calculation of C5H12N2 in the gas phase, from the Open Molecules 2025 dataset.

Values from the calculation:
* HOMO-LUMO gap: 0.3343 hartree
* E_HOMO: -8.12 eV
* SMILES string: CCCC/N=C\N
* E: -8358.3223 eV
* relative energy (zero: lowest compared OMol25 entry of this formula, charge and spin): 175.02 kJ/mol

Atoms and positions in Å:
C  -0.371  0.551  -2.471
C  -1.426  0.658  -1.381
C  -1.205  -0.071  -0.029
C  -0.076  0.555  0.771
N  0.232  -0.187  1.980
C  1.301  -0.620  2.452
N  2.258  -1.323  1.672
H  0.120  -0.423  -2.438
H  0.415  1.304  -2.586
H  -0.983  0.629  -3.372
H  -2.423  0.320  -1.698
H  -1.600  1.696  -1.080
H  -2.143  0.026  0.534
H  -1.042  -1.145  -0.204
H  0.902  0.511  0.252
H  -0.302  1.587  1.046
H  1.559  -0.575  3.510
H  1.663  -1.800  1.020
H  3.123  -1.691  2.022



# 4
The following is a quantum chemistry calculation of C5H12N2 in the gas phase, from the Open Molecules 2025 dataset.

Values from the calculation:
* HOMO-LUMO gap: 0.3325 hartree
* E_HOMO: -7.99 eV
* SMILES string: C=C(N)C[C@@H](C)N
* E: -8358.8492 eV
* relative energy (zero: lowest compared OMol25 entry of this formula, charge and spin): 124.18 kJ/mol

Atoms and positions in Å:
C  -0.069  -1.462  1.716
C  -0.438  -0.211  1.416
3. Poor Posture
Standing in proper posture makes all the core muscle components work with greater ease and more naturally. This efficient muscle activity will then provide the necessary support during high impact activities. When we slouch we are not able to use the diaphragm properly and will breathe with a more shallow respiration. As a result, the pressure increases in abdominal cavity.
Tucking our buttocks in will inhibit proper gluteal muscle activation. This postural error will also put more pressure towards the tailbone where there are not any structures to support the pelvic floor.
- Especially during running we need the front support of the pelvic floor as it is the thickest muscular part of the pelvic floor. This support can be accessed by gently leaning into your toes. Pretend like you are running into the wind.
4. And the last but not least: The Kegel
Please do not grip your pelvic floor, also know as the Kegel, while your run and while you are skipping or using weights. The latest research shows that the pelvic floor works in anticipation of a load or impact. Therefore, adding a contraction on top of already engaged pelvic floor muscles is not necessary and actually will put the whole system into imbalance causing pain or leakage.